Believe It or Not, Rush Limbaugh Was Right on Stimulus


Well-Known Member
No. That is not me saying that. The guy saying that is a big Liberal and the liberal side of the "The Beltway Boys" program Mort Kondracke writing in "The Roll Call" newspaper.

February 12, 2009
Believe It or Not, Rush Limbaugh Was Right on Stimulus
By Mort Kondracke

I can't believe I'm writing this, but Rush Limbaugh actually has (or had) a good idea on the stimulus. Or, at least the germ of one.

On his radio show Jan. 26 and in the Wall Street Journal Jan. 29, America's arch-polarizer -- amazingly enough -- proposed the outlines of a reasonable bipartisan stimulus package of both spending and tax cuts.

It may be moot now, given an apparent House-Senate-administration agreement, but Limbaugh's contribution illustrates how decision-making on the stimulus might have proceeded usefully -- and how to think about fighting recessions.

The proposal was couched, of course, in Limbaugh's customary disdain for government spending ("porkulus") and disparagement of Democratic Party motives, but it contained a genuinely bipartisan idea.

Which was: President Barack Obama won 53 percent of the two-party vote last year and Sen. John McCain (R-Ariz.) won 46 percent, so Obama would dictate the contents of 53 percent of the stimulus and Republicans -- Limbaugh said, "me" -- would dictate 46 percent.

Well, it was never going to happen exactly that way, since the election handed control of both political branches of government to the Democrats.

But, if Obama truly wanted to establish a post-partisan atmosphere in Washington, he would have not only met and had cocktails with Republicans, but would have given them a real say in drafting the stimulus.

Limbaugh shouldn't be dictating the form of tax cuts, of course, but Republicans had some ideas that Obama could have accepted, such as a payroll tax holiday and cut in the capital gains tax for small business.

Such deal-making would have put Republicans to the test. Are they willing to compromise for the common good, or are they simply set on obstructing Obama and playing to their base?

As it is, cut out of any role in drafting the stimulus package beyond offering amendments that were promptly voted down, Republicans voted en masse against it.

So Obama is launching this supposed new era just as Bill Clinton and George W. Bush did -- on a virtual party-line basis.

At one point, House Republicans seemed gratified that tax cuts were going to make up 40 percent of the stimulus. Then, that number fell to 33 percent.

In the Senate version, it arguably went up to 44 percent, but that included an expensive "fix" for the alternative minimum tax that no one regards as stimulative and that should have been swapped out for other tax cuts.

Meanwhile, tax credits for car and home buying were cut, bringing the tax-cut percentage down to 35 percent.

The reasons for adopting a Limbaugh-like idea go beyond post-partisan atmospherics.

The fact is that, in spite of the certitude expressed by politicians and op-ed writers, no one can be certain if the best way out of this Great Recession is Keynesian government spending or supply-side tax cutting.

So why not, as Limbaugh suggested, try both?

The Keynesian case, as expressed by Obama and liberal economists such as Robert Reich and Paul Krugman, is that, with businesses unable to sell their products to private buyers, government has to step in -- big time -- to create demand and jobs by building and buying things and putting money into the hands of people who will spend it.

The supply-side case is that the way to boost an economy is to cut taxes, preferably permanently, for investors and producers, who will hire workers and buy plants and equipment, producing growth.

Both Republicans and Democrats are citing work by Obama's chairwoman of the Council of Economic Advisers, Christina Romer.

She wrote in a 2007 paper that tax cuts "have very large and persistent output effects" and Republicans assert her model shows that $1 of tax cuts produces $3 of growth.

However, in a paper on the White House Web site, she asserts that $1 of spending produces $1.50 in output, whereas tax cuts produce $1. Who knows which is right?

Then there's history. Republicans claim that Franklin D. Roosevelt's 1930s spending did not end the Great Depression, but World War II did. Of course, World War II was the greatest explosion of government spending in history -- and the top income tax rate was an astronomical 94 percent.

Conservatives also cite supply-side Reaganomics as a model, but a case can be made that Reagan's Keynesian defense spending and deficit financing -- the national debt doubled during his presidency, as a percent of GDP -- ended a recession and produced a boom.

So, some intellectual humility is in order. If we want a short-term boost to the economy, let's try spending and tax cuts.

Or, as that momentary exponent of bipartisanship, Limbaugh, wrote in the Wall Street Journal, "In this new era of responsibility, let's use both Keynesians and supply-siders to responsibly determine which theory best stimulates our economy -- and if elements of both work, so much the better.

"The American people are made up of Republicans, Democrats, independents and moderates, but our economy doesn't know the difference. This is about jobs now."

Obama couldn't have said it better.
Mort Kondracke is the Executive Editor of Roll Call, the newspaper of Capitol Hill since 1955. © 2007 Roll Call, Inc.
Wow, I'm surprised you posted an opinion piece of all the things you could have done today.

Republicans actually did have a big part in the stimulus. They just were scared to vote for it even when they took part in it. Cowards.

The Dems should probably just ignore the Reps from here on out.

Interesting to some small extent that your guy is for stimulus though.

**Calculated crystals, as found in the file:**
********
Simulated PXRD pattern
Compound: P2Pb8O13
Radiation: a wavelength of 1.5418 Å
Structure: a cell relaxed with GGA-PBE

Top 6 peaks for 10° ≤ 2θ ≤ 90°, sorted by position:
hkl, 2θ/deg, d/Å, I/Imax
2 2 2, 27.77, 3.213, 100
2 2 -3, 28.56, 3.125, 96
0 0 5, 30.74, 2.908, 35
4 0 -1, 32.86, 2.726, 28
0 4 0, 34.23, 2.620, 28
0 4 5, 46.66, 1.946, 37

Structural model:
Cell lengths 10.913, 10.478, 14.690 Å; angles 90.00, 98.19, 90.00 degrees
Space group C2/m (No. 12)
Asymmetric unit:
P1 0.000 0.247 0.000 (multiplicity 4)
P2 0.159 0.500 0.600 (multiplicity 4)
Pb1 0.068 0.000 0.216 (multiplicity 4)
Pb2 0.072 0.500 0.195 (multiplicity 4)
Pb3 0.085 0.261 0.406 (multiplicity 8)
Pb4 0.167 0.000 0.616 (multiplicity 4)
Pb5 0.190 0.235 0.797 (multiplicity 8)
Pb6 0.234 0.000 0.987 (multiplicity 4)
O1 0.032 0.141 0.707 (multiplicity 8)
O2 0.072 0.160 0.938 (multiplicity 8)
O3 0.095 0.332 0.063 (multiplicity 8)
O4 0.099 0.378 0.637 (multiplicity 8)
O5 0.146 0.500 0.493 (multiplicity 4)
O6 0.188 0.358 0.305 (multiplicity 8)
O7 0.201 0.000 0.360 (multiplicity 4)
O8 0.227 0.000 0.837 (multiplicity 4)

* * * * *

Starting from a structure optimized by DFT (GGA+U), the X-ray powder pattern of MnPH2CO6 was calculated for Cu Ka.
Kinematic intensities with the Lorentz-polarization factor, no thermal factor.

Atomic structure:
Cell lengths 6.119, 15.274, 5.536 Å; angles 90.00, 111.48, 90.00 degrees
Space group C2/m (No. 12)
One atom of each set of equivalent atoms:
Mn  0.000  0.193  0.000 (multiplicity 4)
P  0.000  0.330  0.500 (multiplicity 4)
H  0.224  0.405  0.322 (multiplicity 8)
C  0.097  0.000  0.942 (multiplicity 4)
O  0.111  0.277  0.751 (multiplicity 8)
O  0.170  0.074  0.900 (multiplicity 8)
O  0.205  0.390  0.491 (multiplicity 8)
********

of course they are. by virtue of their affiliations it is obvious that they lack the courage to think for themselves. so they just follow what big daddy before them said. that's the true nature of "conservative." get on the wagon, just like pappy did.
cowards on both side to an extent, but not all.
I have seen some people with real backbone in congress, but not many.


I was watching andrew jackson on the history channel.....
That man had backbone now...
agreed. "kneejerk liberal" has just as much trouble thinking for her or his self.

"Kneejerk conservatives" as well. There are way too many people in this country (probably other countries as well but this is the one I'm familiar with) who are either unwilling (too lazy) or unable (too stupid) to think for themselves and draw their own conclusions.
"Kneejerk conservatives" as well. There are way too many people in this country (probably other countries as well but this is the one I'm familiar with) who are either unwilling (too lazy) or unable (too stupid) to think for themselves and draw their own conclusions.

What if those conclusions are "kneejerk conservative"? A moral, economic and/or political compass that, by ones very nature, education & rationalizations, points you to a decision.

I know I don't take marching orders from anyone. I analyze a situation & draw conclusions that are, almost without fail, politically rightwing. I did that when I was young & not wanting to be all the things that the left accuses the right of being. Once I began paying attention to what is instead of what someone else thinks it is, I grew dramatically more hardcore right. The decisions I make are what I believe to be right, not politically expedient notions spoon fed me.

Unfortunately, those who don't care for the circus of politics don't tend to get the full picture (back to liberal media). If someone only listened to Rush & Hannity for their infiormation, they'd be equally uninformed (although, I do think they balance the information, they give both sides but argue for one). It takes the hardcore (pick a side) to get the ball rolling & to keep information flowing.